Raevn Brasch
Raevn Brasch is an Australian born, Canadian, Production Designer, based in Toronto.
Starting her career in British Columbia, in the late 90’s, her journey to Production Designing included working her way up through multiple departments. Performing extensively in each area, in the roles of Art Director, Set Decorator, Graphic Designer, Props Master, and Scenic Artist, she brings a unique, multifaceted, wealth of experience to any production.
Bahman with an H – Short Film, Independent, 2024, Mad Amendments, DIR: Mesham Motoazedi
The Magician – Short Film, 2023, Independent, DIR: Mathieu Gauveau
Silent Crossings – Short Film, Independent, 2023, Mad Amendments, DIR: Mesham Motoazedi
Jann Holiday Special – Episodic, CTV/Prime, 2022, Joe Media, DIR: Ron Murphy
Cellmates – Feature, Lifetime, 2022, Cineflix, DIR: Rama Rau
Tribal Season 2 – Series, APTN, 2021, Prairie Dog Productions Inc., DIR: Asaf Benny & Ron E Scott
Best Scripted Series: AMPIA Awards, Best Production Design Nominee: AMPIA Awards
So Dark the Sky – Proof of Concept, 2020, Ghost River Theatre Inc., DIR: Eric Rose
Christmas With a Crown – Feature, 2020, Christmas Coronation Productions Inc., DIR: Dylan Pearce
Tribal Season 1 – Series, APTN, 2019, Prairie Dog Productions Inc., DIR: Ron E Scott
Best Production Design Nominee: AMPIA Award
The Curse of Audrey Earnshaw - Feature, Gate 67 Films, 2019, DIR: Thomas Lee
Best Film Nom.: Fantasia Film Fest
Whyte Snuff – Docudrama, IBWISI Productions inc., 2017, DIR: Asaf Benny :
Audience Favourite Award: EIFF
Breathing Through a Straw - Short Drama, Independent, 2016, Producer/Director: Leigh Rivenbark,
Best Alberta Short: CIFF, Rising Star: EIFF, Jury Award: CFF, Best Film: Toronto LGBT fest,
Award of Distinction: CISFF]
Khufiya - Feature, Netflix, Rainbow World Entertainment., 2022, DIR: Vishal Bhardwaj, PD: Abid T.P.
Puppy Love - Feature, Book of Morgan Inc., 2017, DIR: Michael Maxxis, PD: Adam William Wilson
Until First Light - Feature, Independent, 2016, DIR: Kyle Armstrong, PD: Ryan Halun
Unrelated to this page: data records >
279
Properties=species:S:1:pos:R:3:forces:R:3 method="wB97M-V/def2-TZVPD" gap_ev=9.1 mol_weight_g_mol=1663.1
N 0.193263 -4.045082 -2.839406 -0.853 -1.746 0.232
H -0.031090 -4.002992 -1.787830 -0.276 -0.207 -0.697
H 1.122154 -4.497626 -2.875770 -0.071 0.033 -0.317
H 0.260087 -3.106982 -3.222891 0.033 0.370 -0.590
H -0.499630 -4.666796 -3.374462 1.207 1.541 0.913
N -3.038566 0.152108 -4.190107 -0.659 0.904 -0.910
H -2.342756 0.863988 -3.933630 0.710 0.075 -0.518
H -3.917951 0.592375 -4.477715 -0.425 0.424 -0.153
H -3.245691 -0.362302 -3.343814 0.269 -1.159 1.150
H -2.790807 -0.459483 -4.959535 0.583 -0.336 0.051
P -3.202893 -3.428881 -4.974419 1.484 0.491 -0.372
F -4.247065 -4.122087 -5.953669 0.017 0.254 -0.387
F -2.704214 -2.294902 -6.072117 -0.990 0.086 0.273
F -4.362940 -2.483957 -4.427099 0.028 0.826 0.277
F -2.060716 -2.660945 -3.914132 -0.958 -0.762 -0.726
F -3.492472 -4.489016 -3.833305 0.032 -0.359 0.708
F -2.031516 -4.346458 -5.567245 0.551 -0.459 0.377
P 0.048177 0.604417 -0.320491 -2.576 -3.161 -0.668
F -0.300908 -0.292725 -1.683716 0.557 0.903 -0.082
F 0.823601 1.671715 -1.145984 1.008 0.605 -0.635
F -1.344075 1.433032 -0.486577 -0.285 0.377 -1.065
F 0.228073 1.325958 1.019152 1.463 1.256 2.099
F -0.862227 -0.517997 0.445795 -0.050 -0.868 0.612
F 1.359688 -0.353911 -0.092940 -0.060 0.699 -0.145
C 0.775881 -0.165760 -6.335354 1.055 1.029 0.367
C 0.798739 -1.537056 -5.646733 -0.559 1.172 -0.121
C 1.770095 -2.458839 -6.360936 -0.243 -0.459 -0.966
O 1.379995 -3.844765 -6.367002 0.623 0.413 -0.298
C 0.587376 -4.196900 -7.505127 0.111 1.160 -0.746
N 1.168545 -1.468608 -4.231301 0.108 0.132 0.531
H 0.056827 0.558544 -5.944654 0.000 -0.371 0.572
H 0.521953 -0.191536 -7.381695 0.066 -0.502 -0.606
H 1.762455 0.354584 -6.242582 -0.600 -0.440 -0.120
H -0.230665 -1.865921 -5.720786 -0.127 -0.775 0.046
H 2.770546 -2.375232 -5.899832 -0.328 -0.189 -0.076
H 1.858598 -2.099827 -7.420358 0.074 -0.383 0.760
H -0.481669 -4.102417 -7.212995 0.621 -0.286 -0.625
H 0.866229 -5.188260 -7.908636 -0.278 0.209 0.723
H 0.851630 -3.491553 -8.365787 -0.635 -0.717 1.000
H 2.135706 -1.151441 -4.198876 -0.077 -0.007 0.173
H 0.639865 -0.788650 -3.671558 -0.016 -0.254 -0.516
C -2.779978 6.682866 -4.453734 2.179 1.185 0.552
C -3.954478 6.906080 -3.471310 0.697 0.789 -0.085
C -3.612910 6.356619 -2.066469 1.284 2.273 -1.219
O -3.039617 5.089557 -2.227634 -0.505 -0.329 0.827
C -3.505641 4.170605 -1.218458 1.585 0.468 -0.464
N -4.166157 8.381317 -3.429170 0.087 -0.474 -0.716
H -1.830598 6.761551 -3.813554 -1.067 -0.337 -0.935
H -2.598012 7.522311 -5.210229 -0.841 -1.032 0.937
H -2.748811 5.728673 -4.995475 -0.264 0.205 0.363
H -4.788223 6.387811 -3.864853 -1.295 -0.643 -0.372
H -4.484439 6.380846 -1.387059 0.421 -0.075 -0.181
H -2.827124 7.147069 -1.782389 -0.905 -1.198 0.533
H -3.034686 4.357321 -0.237227 -0.442 0.194 -0.293
H -3.114491 3.215445 -1.562301 -0.588 -0.381 0.079
H -4.577723 4.292104 -1.187783 -0.471 -0.627 0.318
H -4.361684 8.616954 -4.404410 0.105 0.334 0.412
Tiny Plastic Men: Season 4 - Series, Mosaic Entertainment. Inc., 2015, DIR: Michael Peterson, C. Craddock, PD: M. Hyrak
Blackstone: Season 4 & 5 - Series, Prairie Dog Productions Inc, 2014/2015, DIR: Ron E. Scott, PD: Shanna Orgovan
NHL Oilers Commercial – Pre-show Opener, 2016, DIR: Michael Maxxis
The Past Never Dies - Feature, Altius Entertainment. 2019, DIR: Farhad Mann, PD: Andrea Clark
Caution May Contain Nuts: Season 4 & 5 - Series, Mosaic Entertainment. 2016, 2017, PD: Myron Hyrak
It’s Not My Fault - Feature, Mosaic Entertainment 2015, DIR: Chris Craddock, PD: Myron Hyrak
Tiny Plastic Men: Season 4 - Series, Mosaic Entertainment, 2015, DIR: Michael Peterson, C. Craddock, PD: Myron Hyrak
Delmar and Marta: Season 1 & 2 - Series, Mosaic Entertainment, 2014, 2015, DIR: Michael Kennedy, PD: Myron Hyrak
Blackstone: Season 4 & 5 - Series, Prairie Dog Productions, 2014, 2015, DIR: Ron E Scott, PD: Shanna Orgovan
A Frosty Affair - Feature 2014, DIR: Dylan Pierce, PD: Lindsay McIntyre
Cut Bank - Feature, Kilburn Media, 2013, DIR: Matt Shakman, PD: Laura Fox
Freezer - Feature, Envision Media Arts, 2013, DIR: Mikael Salomon, PD: Ken Rempell
Truck Stop Bloodsuckers - Made for Internet feature, Mosaic Entertainment 2012, Francis Damberger, PD: Myron Hyrak
Tiny Plastic Men - Season 1 - Series, Synchronicity Enterprises 2012, DIR: Francis Damberger, PD: Myron Hyrak
Caution May Contain Nuts III - Series, Mosaic Entertainment 2011, DIR: Francis Damberger, Bruce Pirrie and D. Anderson
Fubar - Balls to the Wall - Feature, FU2 Productions Ltd, 2009, DIR: Michael Dowse, PD: Myron Hyrak
Caution May Contain Nuts II - Sketch Series, Going Nuts 2 Productions Inc. 2009, DIR: Chester Sit, Francis Damberger
The Pharmacist - Feature, The Pharmacist Film Company Inc. 2009, DIR: Chester Sit, PD: Myron Hyrak
Freezer Burn - Feature, Panacea Productions 2007, DIR: Grant Harvey, PD: Myron Hyrak
Between two parts of the page: quantum chemistry results
-- begin --
Entry from OMol25: a cluster of 11 separate species, H22O11 in total at a distorted geometry (ωB97M-V with the def2-TZVPD basis set).

- orbital gap (eV) = 9.28
- energy relative to the best compared isomer or geometry (same formula, charge and spin) (eV) = 5.098
- E (eV) = -22876.4162
- highest occupied orbital energy (eV) = -9.95
- SMILES = O.O.O.O.O.O.O.O.O.O.O

Geometry as XYZ:
```
33
H22O11 (ωB97M-V with the def2-TZVPD basis set)
H 1.060 0.347 -0.660
H 1.175 0.851 0.770
H -0.672 2.644 3.357
H -1.449 2.466 2.063
H -1.054 0.868 4.580
H 0.332 1.358 4.193
H 1.827 -1.330 1.466
H 1.485 -2.783 1.184
H -2.924 -0.793 1.484
H -2.766 -2.305 1.468
H -1.381 0.899 0.437
H -0.443 -0.293 0.535
H -1.303 2.184 -4.809
H -0.189 1.178 -4.568
H 1.343 2.340 0.138
H 2.132 2.059 1.406
H 0.311 -2.986 -2.497
H 1.185 -1.893 -3.089
H -2.305 0.954 -4.101
H -1.267 -0.141 -3.918
H 3.529 -2.743 0.014
H 2.454 -1.851 -0.584
O 1.479 0.147 0.185
O -1.228 2.014 2.885
O -0.137 0.867 4.877
O 1.122 -1.978 1.570
O -3.242 -1.586 1.037
O -1.356 -0.030 0.694
O -0.855 1.699 -4.106
O 1.345 2.514 1.086
O 0.896 -2.800 -3.239
O -2.219 0.002 -3.974
O 3.117 -1.878 0.115
```


Entry from OMol25: a cluster of 11 separate species, H22O11 in total (ωB97M-V with the def2-TZVPD basis set).

- orbital gap (eV) = 9.78
- energy relative to the best compared isomer or geometry (same formula, charge and spin) (eV) = 1.784
- E (eV) = -22879.7304
- highest occupied orbital energy (eV) = -10.41
- SMILES = O.O.O.O.O.O.O.O.O.O.O

Geometry as XYZ:
```
33
H22O11 (ωB97M-V with the def2-TZVPD basis set)
O -0.849 -1.604 -1.729
H -1.493 -1.320 -1.066
H -1.105 -2.508 -1.941
O 0.418 -1.628 1.617
H 1.174 -1.057 1.805
H 0.761 -2.293 0.997
O -2.159 2.531 -1.314
H -2.383 1.890 -1.997
H -1.599 2.043 -0.690
O -0.558 0.665 0.324
H 0.072 0.420 -0.374
H -0.542 -0.090 0.939
O 0.521 0.074 4.616
H 0.095 -0.264 3.821
H 1.424 -0.259 4.574
O -1.890 2.750 2.411
H -1.981 2.187 3.188
H -1.411 2.209 1.769
O -1.667 -3.416 0.994
H -1.141 -2.809 1.537
H -1.354 -4.296 1.227
O 1.610 0.591 -1.557
H 1.964 1.218 -2.197
H 2.367 0.364 -1.003
O 1.477 3.130 0.009
H 1.761 3.770 0.672
H 1.468 2.285 0.471
O 1.935 -2.400 -2.031
H 1.277 -1.688 -2.070
H 1.456 -3.187 -2.308
O -0.172 0.854 -3.823
H 0.619 1.387 -3.926
H -0.094 0.453 -2.949
```


Entry from OMol25: a cluster of 11 separate species, H22O11 in total at a distorted geometry (ωB97M-V with the def2-TZVPD basis set).

- orbital gap (eV) = 10.26
- energy relative to the best compared isomer or geometry (same formula, charge and spin) (eV) = 1.273
- E (eV) = -22880.2411
- highest occupied orbital energy (eV) = -10.20
- SMILES = O.O.O.O.O.O.O.O.O.O.O

Geometry as XYZ:
```
33
H22O11 (ωB97M-V with the def2-TZVPD basis set)
O 8.640 6.617 2.911
H 8.750 5.905 3.542
H 8.385 7.371 3.443
O 7.138 2.983 4.790
H 6.833 3.305 5.638
H 6.341 2.714 4.334
O 6.472 3.731 7.278
H 6.667 3.289 8.105
H 5.528 3.619 7.163
O 4.403 5.167 4.286
H 4.548 4.597 3.530
H 5.270 5.518 4.491
O 7.408 9.183 6.118
H 7.376 9.227 5.162
-- stop --
Waking Up Wally - Film, CBC/Accent Entertainment Corp 2005, Graphic Design/Art Dept. Trainee, PD: John Blackie
Jann: Season III – Series, CTV, Props Master, 2021, DIR: Ron Murphy, PD: Louise Middleton
Black Summer - Season I - Series, Netflix, Set Decorator, 2018, DIR: John Hyams & Abram Cox, PD: Bobby Vanonen
Wynonna Earp - Season III - Series, Netflix/SciFi Channel, Seven 24 Films, Props Master 2018, PD: Ingrid Jurek
#Roxy - Feature, Mosaic Entertainment, Props Master, 2016, DIR: Michael Kennedy, PD: Myron Hyrak
It’s Not My Fault - Feature, Mosaic Entertainment, Props Master, 2015, DIR: Chris Craddock, PD: Myron Hyrak
Delmar and Marta - Season 1 & 2 - Series, Mosaic Entertainment, Prps Master 2014/2015, DIR: M Kennedy, PD: M. Hyrak
Away and Back - Feature, Hallmark, Asst. Prps Master, GRP, Swan Productions Inc. 2014, DIR: Jeff Bleckner, PD: K. Rempel
These calculated molecules were left in the text by mistake =
DFT (the ωB97M-V functional and the def2-TZVPD basis) results for an isolated molecule of C22H22ClN3O3S.

Net charge ... 0
HOMO ... -7.8 eV
Calculated total energy ... -2099.9436 a.u.
Frontier orbital gap ... 7.890 eV
SMILES ... CCOCCn1/c(=N/C(=O)/C=C/c2ccccc2Cl)sc2cc(NC(C)=O)ccc21

Last column: Löwdin charge in e.
Positions of all 52 atoms, in Å:
C -4.1783 -1.1144 2.8216  -0.075
C -3.4510 -0.5624 1.5974  -0.268
O -2.0839 -0.8988 1.5435  -0.143
C -1.8092 -2.2509 1.2787  -0.201
C -0.3222 -2.3638 0.9277  -0.093
N -0.0115 -1.5973 -0.2536  -0.032
C 0.5516 -0.3789 -0.1592  -0.500
N 1.0081 0.1087 0.9487  0.124
C 1.5426 1.3589 0.8510  -0.507
O 1.6032 1.9710 -0.2174  -0.089
C 2.0277 1.8909 2.1267  -0.029
C 2.5824 3.1057 2.1874  -0.036
C 3.1398 3.7754 3.3517  -0.231
C 4.2339 4.6244 3.1514  -0.034
C 4.8484 5.2800 4.1981  -0.082
C 4.3659 5.1223 5.4876  -0.083
C 3.2662 4.3152 5.7136  -0.113
C 2.6616 3.6477 4.6598  -0.588
Cl 1.2513 2.7137 5.0178  0.725
H 2.8663 4.1995 6.7090  0.101
H 4.8351 5.6335 6.3141  0.104
H 5.6983 5.9186 4.0104  0.103
H 4.6080 4.7466 2.1456  0.116
H 2.6822 3.6456 1.2519  0.123
H 1.9144 1.2330 2.9719  0.079
S 0.6411 0.4482 -1.7058  1.195
C -0.1215 -0.9425 -2.4677  -0.407
C -0.4263 -1.1020 -3.8069  -0.006
C -1.0217 -2.2894 -4.2168  -0.220
C -1.2941 -3.2929 -3.2795  -0.025
C -0.9907 -3.1325 -1.9429  -0.014
C -0.4032 -1.9432 -1.5304  -0.234
H -1.2032 -3.9245 -1.2420  0.108
H -1.7508 -4.2154 -3.6093  0.109
N -1.3660 -2.5421 -5.5477  0.110
C -1.2117 -1.7408 -6.6455  -0.514
O -0.7318 -0.6332 -6.6253  0.074
C -1.7178 -2.4073 -7.9097  -0.002
H -2.7767 -2.6392 -7.8157  0.082
H -1.1699 -3.3290 -8.0949  0.082
H -1.5738 -1.7326 -8.7481  0.083
H -1.7836 -3.4489 -5.7053  0.139
H -0.2053 -0.3238 -4.5164  0.104
H -0.0489 -3.4104 0.7717  0.130
H 0.2655 -1.9337 1.7401  0.125
H -2.0148 -2.8832 2.1551  0.127
H -2.4305 -2.6034 0.4396  0.121
H -3.9566 -0.8999 0.6783  0.120
H -3.4607 0.5298 1.6215  0.122
H -4.2651 -2.1975 2.7732  0.065
H -5.1772 -0.6902 2.8710  0.073
H -3.6356 -0.8448 3.7240  0.079
So much for the calculated molecules =
Cut Bank - Feature, Kilburn Media, Ast. Props Master. 2013, DIR: Matt Shakman, PD: Laura Fox
Blackstone - Season 1,2, & 3 - APTN Series, Prps Master, Prairie Dog Productions Inc 2011-13, DIR: Ron Scott, M. Hyrak
The Right Kind of Wrong - Feature, On Set, Serendipity Point Films 2012, DIR: Jeramiah S. Chechik, Producer: R. Lantos
Delmar and Marta - Online Web interactive site, Props Master and Set Dec, Mosaic Entertainment 2011,
Blackstone - Season Pilot - Series, Props Master, Prairie Dog Productions Inc. 2009, DIR: Ron Scott, PD: Myron Hyrak
Mixed Blessings - Season 2 & 3 - Series, Prps Master, Prairie Dog Productions Inc. 2008/9, DIR: F. Damberger, M. Hyrak
A Day in a Life - Feature, Independent, Set Dresser, 1999, PD: Robyn Badger
Protection - Feature, Set Dresser, Red Storm Releasing, 1999, Set Decorator - Robyn Badger
It's me Margaret - Feature, Set Dresser, 1999, Set Decorator - Robyn Badger, DIR Bruce Spangler
Rollercoaster - Feature 1997, Set Dresser, Set Decorator - Robyn Badger
Bachelor of Visual Arts [Griffith University, Brisbane Australia - 1990 -1992] Graphic Design, Marketing, Photography, Computer Aided Design, Illustration, & Animation
Extra Computer Aided Design [Input Output Centre, London England - 1995] Quark Express & Illustrator
Clown and Mask Workshop [University of Alberta, Edmonton Canada - 2002] Creativity, intuition, drama and art
Landscape Design 1 & 2, [Metro College, Edmonton Canada - 2011]
Digital Photography [Metro College, Edmonton Canada - 2011]
Foundations of Collaborative Conflict Resolution [University of Calgary – 2019]
Character Drawing [Toronto 2019]
FAC License [Current]
Basic Food Safety [Current AHS]
Leadership in the Workplace for Supervisors [2022]